
These parents should really be shunned by polite society, but they probably live surrounded by shitheads just like them. 

According to the reports I’ve read, she spoke to a doctor the day before she died.

[Materials data, kept here for reference]
____________
(1)
LiLu2W2Cl2O8: computed XRD peak list (copper Kα), based on a structure optimized by DFT (PBE+U).
Neutral-atom scattering factors, no anomalous dispersion.

Main lines, low angle first (2θ = 10–80°):
2θ (°)  I_rel  index
13.7  384  0 1 0
16.8  1000  1 0 -1
16.9  490  1 0 0
24.7  321  1 1 0
25.8  362  1 -1 1
26.7  815  1 0 -2
27.6  693  0 2 0
31.6  514  1 -2 1
36.0  355  2 1 -1
49.9  330  3 -1 0

Crystal structure
Unit cell a=5.958 b=6.860 c=6.865 alpha=100.21 beta=113.13 gamma=100.90
Space group P1 (No. 1)
Inequivalent atoms, fractional coordinates:
Li1 0.000 0.000 0.000 [1 per cell]
Lu1 0.333 0.227 0.523 [1 per cell]
Lu2 0.428 0.631 0.970 [1 per cell]
W1 0.122 0.625 0.388 [1 per cell]
W2 0.616 0.212 0.093 [1 per cell]
Cl1 0.803 0.215 0.790 [1 per cell]
Cl2 0.982 0.698 0.737 [1 per cell]
O1 0.167 0.904 0.455 [1 per cell]
O2 0.259 0.611 0.196 [1 per cell]
O3 0.367 0.289 0.861 [1 per cell]
O4 0.385 0.577 0.626 [1 per cell]
O5 0.399 0.165 0.233 [1 per cell]
O6 0.653 0.939 0.044 [1 per cell]
O7 0.757 0.548 0.194 [1 per cell]
O8 0.988 0.303 0.327 [1 per cell]

***

(2)
LiLu2W2Cl2O8: computed XRD peak list (copper Kα), based on a structure optimized by DFT (PBE+U).
Neutral-atom scattering factors, no anomalous dispersion.

Main lines, low angle first (2θ = 10–80°):
2θ (°)  I_rel  index
16.4  708  1 0 0
17.5  578  1 1 0
23.1  659  1 1 -1
25.2  711  0 0 2
25.6  1000  1 -1 0
26.2  502  0 1 2
28.0  550  1 2 1
29.1  359  0 2 1
30.7  407  1 0 2
33.4  318  -1 1 2

Crystal structure
Unit cell a=5.794 b=6.751 c=7.255 alpha=77.16 beta=87.16 gamma=68.66
Space group P1 (No. 1)
Inequivalent atoms, fractional coordinates:
Li1 0.000 0.000 0.000 [1 per cell]
Lu1 0.216 0.532 0.957 [1 per cell]
Lu2 0.636 0.117 0.320 [1 per cell]
W1 0.310 0.690 0.400 [1 per cell]
W2 0.528 0.982 0.863 [1 per cell]
Cl1 0.072 0.273 0.767 [1 per cell]
Cl2 0.966 0.320 0.227 [1 per cell]
O1 0.000 0.864 0.311 [1 per cell]
O2 0.314 0.606 0.654 [1 per cell]
O3 0.353 0.796 0.968 [1 per cell]
O4 0.390 0.461 0.280 [1 per cell]
O5 0.509 0.845 0.346 [1 per cell]
O6 0.529 0.189 0.017 [1 per cell]
O7 0.596 0.077 0.614 [1 per cell]
O8 0.867 0.790 0.935 [1 per cell]
____________
[The materials data stop here]

Henson was sort of extra sad to me, because we still needed him/his voice and his kindness

Yeah, to think that a person has this kind of phrase in their go-to analogies is fucking disturbing; like, who the hell makes reference to a “public hanging” without having reconsidered her options, especially in light of her state’s history with such events? Goddamn.

Let’s follow this chain of (non)thought - ‘I hold X person in such high regard, that even if I was invited to a horrible event (a public hanging) by this person, not only would I go, I would be in the front row’. So for her, the deference she owes this person (unnamed, but I bet it’s a stale pale male) is greater than

It’s incredibly revealing, sometimes, what someone thinks is funny and what they say out loud in front of strangers. Most normal people wouldn’t think of this as something even remotely joke-worthy.

I don’t live in Mississippi but donated twenty bucks to Espy today. Tired of racists.

I hope this follows her to the end of her career & that that career is effectively over November 27th. 

damn really thought i was gonna walk this year

I’m wearing Fenty lip gloss as I type this. So: hell yeah.

I’m just going to keep throwing my money at Rihanna, aren't I?

There really isn’t even a choice. I’ve had dogs, I have a dog, and I do not need to know what kind of shenanigans they would get up to with hands. Besides, I think we all know that the only thing a cat would do with a human face is constantly sneer at the futility of mankind’s endeavors.

Considering that I haven’t fit in any of their bras since I was like 13 years old, this does not surprise me in any way, shape, or form.

I don’t know why, but I just love the way you wrote this post — “cooking me with their tender little furnace bodies.” It’s just beautiful.

Ahh I got a little teary reading that. They are literally tiny furnaces!

Six days. Six. I’m a gay dude and even I know that’s not a good sign.

Totally agree, and I’ll just add that I’m glad I’m someone who never wants to give birth, so I will never have to deal with any of this stuff.

I wish that my three children didn’t require surgical intervention to enter the world. The havoc those C sections have wreaked on my back and abs can’t be overstated.

This is actually the part I find most troubling. It should be expected that you are going to find uninhibited racists inside a gated community, but the actual dispatching of police to a location away from the supposed “crime” scene for an allegation of trespassing is very problematic It implies the police knowingly

How did the cops know where Kemp lived? Also the cops actually spent the time to go visit Kemp when no crime was committed. That’s some dedication you don’t usually see from the local Slave Patrol.